Far too often, people feel justified to commit criminal acts in the name of revenge, retribution, or what they believe to be "justice." Such is the case of Danielle Jones Schneider. If you haven't heard about this story, just read on:
From the Seattle Weekly Blog--
It doesn't take long to look through Danielle Schneider's blog and realize that she really doesn't like Patrick Rojas. She has, of course, good reason not to. In 2007 the then-22-year-old pleaded guilty to reduced misdemeanor charges--communication with a minor for immoral purposes--for incidents involving Schneider's 11-year-old daughter. He's free now, and says that her hate blog is keeping him from getting a job. As such, he and his lawyer would like "unspecified damages" to compensate him for his troubles...
_Crystal structures, kept here for reference_
/*
# 1
Density functional theory data (PBE with a Hubbard U) for crystalline Ce2Mo3O12 at its relaxed geometry.

Lattice parameters (Å, degrees): 6.926 6.926 11.947 100.04 100.04 113.04
Sites, in units of the cell vectors:
Ce 0.048 0.296 0.090
Ce 0.296 0.048 0.590
Ce 0.704 0.952 0.410
Ce 0.952 0.704 0.910
Mo 0.124 0.876 0.250
Mo 0.211 0.462 0.423
Mo 0.462 0.211 0.923
Mo 0.538 0.789 0.077
Mo 0.789 0.538 0.577
Mo 0.876 0.124 0.750
O 0.034 0.438 0.288
O 0.073 0.664 0.111
O 0.110 0.192 0.455
O 0.137 0.202 0.715
O 0.192 0.110 0.955
O 0.202 0.137 0.215
O 0.215 0.665 0.539
O 0.335 0.785 0.961
O 0.336 0.927 0.389
O 0.428 0.523 0.102
O 0.438 0.034 0.788
O 0.477 0.572 0.398
O 0.523 0.428 0.602
O 0.562 0.966 0.212
O 0.572 0.477 0.898
O 0.664 0.073 0.611
O 0.665 0.215 0.039
O 0.785 0.335 0.461
O 0.798 0.863 0.785
O 0.808 0.890 0.045
O 0.863 0.798 0.285
O 0.890 0.808 0.545
O 0.927 0.336 0.889
O 0.966 0.562 0.712

Summary:
For the formation energy, the calculation gives -2.583 eV/atom. The calculation puts the magnetic moment at 2.00 μB/f.u. The calculation puts the MP2020-corrected energy at -8.69 eV/atom. As for the total energy: -7.637 eV per atom.


# 2
Density functional theory data (PBE with a Hubbard U) for crystalline Ce2Mo4O15 at its relaxed geometry.

Lattice parameters (Å, degrees): 7.507 7.639 11.781 90.19 95.98 95.83
Sites, in units of the cell vectors:
Ce 0.186 0.399 0.269
Ce 0.258 0.914 0.724
Ce 0.742 0.086 0.276
Ce 0.814 0.601 0.731
Mo 0.070 0.741 0.023
Mo 0.225 0.922 0.371
Mo 0.272 0.418 0.626
Mo 0.400 0.167 0.027
Mo 0.600 0.833 0.973
Mo 0.728 0.582 0.374
Mo 0.775 0.078 0.629
Mo 0.930 0.259 0.977
O 0.072 0.084 0.318
O 0.087 0.759 0.871
O 0.126 0.541 0.093
O 0.153 0.593 0.681
O 0.156 0.220 0.947
O 0.164 0.706 0.312
O 0.208 0.386 0.477
O 0.208 0.923 0.087
O 0.216 0.903 0.521
O 0.229 0.209 0.696
O 0.348 0.264 0.173
O 0.414 0.981 0.897
O 0.450 0.000 0.346
O 0.461 0.668 0.025
O 0.495 0.512 0.350
O 0.505 0.488 0.650
O 0.539 0.332 0.975
O 0.550 0.000 0.654
O 0.586 0.019 0.103
O 0.652 0.736 0.827
O 0.771 0.791 0.304
O 0.784 0.097 0.479
O 0.792 0.077 0.913
O 0.792 0.614 0.523
O 0.836 0.294 0.688
O 0.844 0.780 0.053
O 0.847 0.407 0.319
O 0.874 0.459 0.907
O 0.913 0.241 0.129
O 0.928 0.916 0.682

Summary:
For the formation energy, the calculation gives -2.490 eV/atom. The calculation puts the magnetic moment at 2.00 μB/f.u. The calculation puts the MP2020-corrected energy at -8.66 eV/atom. As for the total energy: -7.555 eV per atom.


# 3
Density functional theory data (PBE with a Hubbard U) for crystalline Ce3MoO7 at its relaxed geometry.

Lattice parameters (Å, degrees): 7.591 7.646 10.799 90.00 90.00 90.00
Sites, in units of the cell vectors:
Ce 0.005 0.036 0.220
Ce 0.009 0.046 0.772
Ce 0.243 0.717 0.006
Ce 0.257 0.283 0.506
Ce 0.491 0.954 0.272
Ce 0.495 0.964 0.720
Ce 0.505 0.464 0.780
Ce 0.509 0.454 0.228
Ce 0.743 0.783 0.994
Ce 0.757 0.217 0.494
Ce 0.991 0.546 0.728
Ce 0.995 0.536 0.280
Mo 0.250 0.254 0.001
Mo 0.250 0.746 0.501
Mo 0.750 0.246 0.999
*/
In fairness, Schneider's 277 blog posts go back to March 2009, and are vitriolic as they come. The posts blast Rojas, his father Eddie, wife Kathy, a host of clergy members at their church, nearly all of their children, and just about anyone else who's ever associated with them. She writes about where they go, what they do, and whatever rumors she hears. She accuses them of other crimes, though her documentation backing up the claims is typically lacking. At any rate, it's clear that the shaming of Rojas and his clan is something that Schneider is obsessively committed to.
We tend to think people are somehow justified in doing this, but we have a justice system for that. However imperfect it is, it is there to punish criminal behavior.What Rojas did was wrong; however, this does not give John Q. Public free reign to harass Rojas. What Schneider is doing today is harassment, plain and simple, and as such, she is a criminal. It remains to be seen whether a judge will do the right thing and rule against Schneider in light of the rants on both her blog and throughout the internet. Some of her other comments really make me question her integrity (a lot of things simple are not adding up):
We need to network, come together and make real, meaningful change. I DO NOT BELIEVE a pedophile can be cured...although I do believe in a God of miracles, I WOULD NOT be willing to risk an innocent child to test if a convicted pedophile has been "healed" would you?
(Calculated crystals that have nothing to do with the article)
~~~
Entry 1:
This record from the Materials Project describes crystalline Na3WO4F at its relaxed geometry. The functional is GGA+U.

POSCAR file:
```
Na3WO4F
1.0
5.715 0.000 0.000
0.000 7.651 0.000
0.000 0.000 13.084
O Na W F
16 12 4 4
Direct
0.892 0.250 0.421 O
0.674 0.750 0.455 O
0.686 0.556 0.651 O
0.186 0.556 0.849 O
0.326 0.250 0.545 O
0.314 0.444 0.349 O
0.686 0.944 0.651 O
0.608 0.750 0.921 O
0.814 0.056 0.151 O
0.108 0.750 0.579 O
0.174 0.750 0.045 O
0.826 0.250 0.955 O
0.814 0.444 0.151 O
0.186 0.944 0.849 O
0.392 0.250 0.079 O
0.314 0.056 0.349 O
0.724 0.250 0.608 Na
0.725 0.958 0.320 Na
0.225 0.542 0.180 Na
0.776 0.750 0.108 Na
0.775 0.042 0.820 Na
0.276 0.750 0.392 Na
0.275 0.042 0.680 Na
0.225 0.958 0.180 Na
0.725 0.542 0.320 Na
0.224 0.250 0.892 Na
0.775 0.458 0.820 Na
0.275 0.458 0.680 Na
0.212 0.250 0.416 W
0.712 0.250 0.084 W
0.288 0.750 0.916 W
0.788 0.750 0.584 W
0.497 0.750 0.230 F
0.503 0.250 0.770 F
0.997 0.750 0.270 F
0.003 0.250 0.730 F
```

Properties
Its total energy is -209.443 eV for the cell shown. The formation energy comes out at -2.375 eV per atom.

=====

Entry 2:
This record from the Materials Project describes crystalline Rb2NaVF6 at its relaxed geometry. The functional is GGA+U.

POSCAR file:
```
Rb2NaVF6
1.0
1.030 5.988 0.582
-3.753 4.015 -2.656
-3.726 3.419 3.418
F Rb Na V
6 2 1 1
Direct
0.770 0.230 0.770 F
0.770 0.770 0.230 F
0.230 0.770 0.230 F
0.230 0.230 0.770 F
0.770 0.230 0.230 F
0.230 0.770 0.770 F
0.750 0.750 0.750 Rb
0.250 0.250 0.250 Rb
0.500 0.500 0.500 Na
0.000 0.000 0.000 V
```

Properties
Its total energy is -51.059 eV for the cell shown. The formation energy comes out at -3.168 eV per atom.

=====

Entry 3:
This record from the Materials Project describes crystalline NaSrVF6 at its relaxed geometry. The functional is GGA+U.

POSCAR file:
```
NaSrVF6
1.0
5.493 0.000 0.000
0.000 9.505 0.000
0.000 0.000 10.544
V F Na Sr
4 24 4 4
Direct
0.963 0.500 0.373 V
0.537 0.500 0.873 V
0.463 0.000 0.627 V
0.037 0.000 0.127 V
0.287 0.377 0.796 F
0.220 0.160 0.048 F
0.141 0.495 0.535 F
0.713 0.877 0.704 F
0.791 0.643 0.914 F
0.859 0.995 0.965 F
0.641 0.005 0.465 F
0.780 0.660 0.452 F
0.280 0.840 0.548 F
0.359 0.505 0.035 F
0.341 0.662 0.817 F
0.279 0.979 0.785 F
0.787 0.123 0.204 F
0.209 0.143 0.586 F
0.779 0.521 0.215 F
0.721 0.479 0.715 F
0.720 0.340 0.952 F
0.159 0.338 0.317 F
0.291 0.857 0.086 F
0.709 0.357 0.414 F
0.213 0.623 0.296 F
0.841 0.838 0.183 F
0.221 0.021 0.285 F
0.659 0.162 0.683 F
0.044 0.647 0.083 Na
0.544 0.853 0.917 Na
0.456 0.353 0.583 Na
0.956 0.147 0.417 Na
0.006 0.186 0.823 Sr
0.494 0.814 0.323 Sr
0.994 0.686 0.677 Sr
0.506 0.314 0.177 Sr
```

Properties
Its total energy is -203.734 eV for the cell shown. The formation energy comes out at -3.536 eV per atom.

=====

Entry 4:
This record from the Materials Project describes crystalline Na3U6VF30 at its relaxed geometry. The functional is GGA+U.

POSCAR file:
```
Na3U6VF30
1.0
0.533 9.108 3.799
-0.798 -1.239 -9.773
-13.089 0.338 1.026
~~~
She's also begging the public for money to support her legal fees for committing harassment. No doubt she's raking in the funds-- they did the same for Angry Tammy Gibson. I guess what people say about the Pacific Northwest and mental illness is true.
I'll be watching this case closely. It is time a vigilante gets deterred from engaging in criminal activity.